

This blog…it has been around for a while, but it is neglected as of late. As a matter of fact it has been 6 months since I have even looked at it. Forgive me. I would like to think that it will change for good this time and maybe it will, but I make no promises.

Last year this time I was embarking on a new chapter in my life and I was swimming in some pretty tough stuff. My entire life was turned upside down. I was entering a season of all three of my kids being in school all day. A year prior to that I was homeschooling my oldest and had my youngest home aside from preschool. Then we transitioned the older back to public school in January of 2017 and the youngest graduated from preschool that May, which led to everyone being poised to embark on elementary school in full force come August of 2017.

I give all of that backstory to say that the 2017-2018 school year taught me a lot about myself. I had time autonomy for the first time in a decade and really for the first time in my adult life. I ran into it thinking it was going to be an awakening of sorts, and it was, but not in the way I thought a year ago. Have you ever had decision paralysis? When you have so many options that you simply can’t choose and move forward? That was me. Too many hours in a day. Now before I unpack this, for those of you still living your moments of freedom between the hours of 9:15am and 1pm 2-3 days a week, hear me out. It will not always be like it is right now, and I would give you a slick party line about enjoying it while it lasts, but truth be told, you will and you won’t. Be kind to yourself for where you are. Enjoy the moments when you can, and hide in the pantry with a pint of Halo Top when you can’t. Grace upon grace.

So, I had too many hours. I was so overwhelmed with the windfall of hours I was give FIVE DAYS IN A ROW, EVERY WEEK (save those few tiny breaks between August and May) that I just didn’t know how to spend them. I then wrestled with how best to spend them and began frittering them away on little things that probably didn’t amount to anything. I did this so much that when added together, those hours could have produced the next great American novel (or at least the page number equivalent). I let mom guilt, unreal expectations, and lies that “I am not worth the time it takes to pursue a personal dream” steal so. many. hours.

Again, if you are reading this, it is not a call to feel guilty about what you have or have not accomplished. This goes much deeper than that. It is about leaning in and asking God what I am supposed to be doing and actually doing it. I sent a lot of time examining myself and my habits over the last 12 months and I used this first year of freedom to do some personal maintenance. Let me share a few of the things I did/learned in the last year.

1.  I am worth it.

I learned that I have put myself on the back burner a lot while raising these kids. Some would call this a badge of honor as we mothers selflessly put our families above our own ambitions. On one hand I wholeheartedly agree. On the other I shake my head no. I am all for sacrifices for the family unit and going “all in” in some capacity while your kids are little, but how often do we put ourselves down while putting ourselves last? I started to gain weight over the last 3 years and I also quit writing regularly. If someone would have asked me why I would have hidden behind the family unit excuse. But the reality was I didn’t value myself enough to address these issues. Something I learned over the last year is that no one is going to want my dreams more than me. So I have to believe in them and go after them for me, and not wait for even my husband to validate them. Once God gives the thumbs up, I need to run like my hair is on fire. I need to value myself enough to put my feet in the direction of my dreams. No one else is going to give me the “golden permission” I have been waiting for. Make it work, figure it out. You are worth the effort it will take to achieve the thing that makes you come alive.

2. Time needs to be managed like money.

I will be the first to admit that I am terrible at budgeting. I HATE being a money micromanager. I cannot tell you how we have made it this far in life in the financial place we are in except that we are generous in the Kingdom and God has taken care of my stupid self. I am a deal hound and not prone to big purchases, but if it weren’t for my saver husband, we would probably be in trouble simply because I am so nonchalant with day to day spending. With that said, I see that God is showing me the value of managing this are better. Much like I let hours slip through my fingers by unmanaged minutes, I let dollars slip through in unmanaged cents. This is a piece of my personality I am still trying to understand and work with God to be renewed in. I wish I had more answers at this time, but acknowledging the problem is a step in the right direction. For now, the idea is that if I plan ahead how I will spend my time I can get more done and enjoy my relaxation time more. Right now this looks like spending some time each Sunday looking at the week ahead to understand which days will be busier than others. Then I also make a list of things to get done tomorrow. Each night I make a quick list of things I need to get done in my free time. (I believe once I get this down a little better, I can apply it to my budget and see a clearer picture of our finances from month to month…we shall see).

+++
ORCA calculation (ωB97M-V with the def2-TZVPD basis set) on C9H13NS in the gas phase.

Each line ends with the Mulliken charge.
Atoms and positions in Å:
C -3.435 -1.892 0.522  0.337
C -3.022 -0.826 0.153  -0.676
S -2.461 0.653 -0.436  -0.213
C -1.058 0.978 0.714  -1.064
C 0.262 1.251 -0.022  1.949
C 1.320 1.605 1.034  -1.739
C 0.097 2.401 -1.014  -1.936
C 0.700 -0.005 -0.728  -0.810
N 0.909 -1.061 -0.069  -0.221
C 1.277 -2.227 -0.703  -0.039
C 1.418 -3.351 -0.010  -0.677
H -3.790 -2.823 0.854  0.415
H -0.960 0.104 1.353  0.466
H -1.341 1.849 1.309  0.488
H 2.276 1.799 0.551  0.423
H 1.445 0.774 1.723  0.418
H 1.024 2.492 1.590  0.415
H 1.039 2.607 -1.518  0.463
H -0.221 3.305 -0.497  0.378
H -0.653 2.157 -1.765  0.475
H 0.798 0.045 -1.822  0.390
H 1.436 -2.198 -1.786  0.222
H 1.251 -3.363 1.053  0.276
H 1.689 -4.275 -0.486  0.260

Summary:
**Gap between HOMO and LUMO**: 9.351 eV
**SMILES string**: C#CSCC(C)(C)/C=N/C=C
**E_LUMO**: 0.765 eV
**Relative energy (zero: lowest compared OMol25 entry of this formula, charge and spin)**: 55.94 kcal per mole

ORCA calculation (ωB97M-V with the def2-TZVPD basis set) on C30H32ClIrN3SSi2 as an isolated structure at a distorted geometry.

Each line ends with the Mulliken charge.
Atoms and positions in Å:
C -1.791 -0.526 5.318  -0.532
C -2.331 0.031 4.109  -0.742
C -2.070 -0.906 3.043  -0.651
H -2.879 0.966 4.006  0.428
C -1.325 -2.009 3.598  -0.529
C -1.180 -1.779 5.005  -0.737
H -0.679 -2.439 5.713  0.476
H -1.854 -0.069 6.302  0.498
H -2.403 -0.811 2.014  0.885
H -0.964 -2.863 3.031  0.555
Ir -0.179 -0.085 3.609  1.356
Si 0.457 0.242 1.375  -0.134
C -0.457 1.750 0.704  0.656
C 0.192 2.640 -0.165  -0.823
H 1.239 2.486 -0.426  0.642
C -0.496 3.717 -0.724  -0.786
H -0.001 4.357 -1.455  0.538
C -1.817 3.986 -0.359  -0.668
H -2.342 4.851 -0.772  0.450
C -2.444 3.150 0.567  -0.761
H -3.462 3.369 0.895  0.449
C -1.773 2.035 1.086  0.428
H -2.303 1.401 1.805  0.092
C -0.139 -1.321 0.457  1.532
C -1.197 -1.284 -0.463  -0.584
H -1.650 -0.330 -0.750  0.447
C -1.693 -2.469 -1.025  -0.723
H -2.539 -2.426 -1.716  0.448
C -1.130 -3.703 -0.694  -0.705
H -1.535 -4.631 -1.111  0.442
C -0.047 -3.742 0.190  -0.645
H 0.406 -4.702 0.450  0.463
C 0.457 -2.559 0.740  -0.987
H 1.326 -2.615 1.403  0.316
H 1.920 0.457 1.623  -0.260
Si 2.198 0.236 -3.096  0.200
C 1.576 -1.354 -3.804  0.498
C 0.791 -1.352 -4.969  -0.208
H 0.565 -0.409 -5.477  0.411
C 0.258 -2.548 -5.463  -0.409
H -0.364 -2.530 -6.359  0.429
C 0.503 -3.756 -4.803  -0.858
H 0.073 -4.687 -5.179  0.416
C 1.303 -3.764 -3.655  -0.291
H 1.494 -4.700 -3.126  0.442
C 1.849 -2.575 -3.167  -0.320
H 2.464 -2.600 -2.263  0.328
C 1.122 1.605 -3.725  0.377
C -0.243 1.712 -3.433  0.107
H -0.699 1.055 -2.690  0.391
C -1.019 2.687 -4.068  -0.544
H -2.076 2.777 -3.816  0.476
C -0.447 3.549 -5.009  -0.511
H -1.061 4.300 -5.510  0.443
C 0.919 3.454 -5.293  -0.452
H 1.373 4.125 -6.024  0.462
C 1.706 2.505 -4.634  -0.500
H 2.781 2.446 -4.829  0.407
H 3.618 0.512 -3.422  -0.221
+++


3.  Little goals are the key to big goals.

In addition to these big take aways of 2017-2018, I am seeing something new emerge for me. I often set BIG goals and get super overwhelmed with how to make July 26, 2018 Ashley do the things that January 17, 2019 needs to accomplish. I begin to crumble shortly after setting the goal and end up imploding and only bringing a portion of myself to the main event. Then I use my family or some other lame excuse as my reason for not accomplishing the goal. Not anymore. I am committed to the second step of making a big goal for myself: creating checkpoints and smaller goals. This is what has been missing in my life and what has kept me from writing that book, losing that weight, and putting myself out there in ministry. I think of the verse in Zechariah 4:10 that says:

Do not despise these small beginnings, for the LORD rejoices to see the work begin, to see the plumb line in Zerubbabel’s hand.

Small beginnings are something I undervalue when my eyes are on the big prize and I am salivating at the idea of what it will feel like to accomplish it. However, I lose that lovin’ feelin’ in the mundane of the journey to get there. God has been pulling me back and making me aware of the beauty found in the journey. Make big goals, but consider them incomplete if you don’t also have a list of small goals that will contribute to the achievement. But don’t stop there, share them with someone who will cheer you on and hold you accountable. This is what makes it the most real.


Whew! You made it! And more surprisingly so did I. This post contains just a few of the lessons that God is teaching me. What is He teaching you? I’d love to know. If you think it’s nothing, than you just aren’t hearing Him. He is always teaching us something. Good Daddy’s keep the lessons coming to all who are eager to learn.